
Implement Elastic Search Using NestJS

January 30, 2019

+++
Starting from a cell relaxed with GGA-PBE, the powder X-ray diffraction pattern of CsLi2ThBr8 was simulated for Cu Ka.
No peak broadening, texture or thermal motion is included.

Most intense lines, 10 to 90 degrees two-theta, in order of falling intensity:
| 2θ (°) | I (rel.) |
| --- | --- |
| 29.09 | 100.0 |
| 13.50 | 82.4 |
| 27.68 | 49.4 |
| 13.74 | 44.4 |
| 21.65 | 36.0 |
| 40.10 | 35.0 |
| 22.07 | 34.5 |
| 41.06 | 30.4 |
| 17.12 | 30.2 |
| 16.13 | 26.6 |

Atomic structure:
abc: 7.4913 7.4913 10.3659
angles: 91.86 91.86 61.15
Fractional positions:
1 Cs 0.0000 0.0000 0.0000
2 Li 0.3345 0.3345 0.2690
3 Li 0.6655 0.6655 0.7310
4 Th 0.0000 0.0000 0.5000
5 Br 0.2173 0.2173 0.4636
6 Br 0.2308 0.7188 0.3003
7 Br 0.2801 0.2801 0.0328
8 Br 0.2812 0.7692 0.6997
9 Br 0.7188 0.2308 0.3003
10 Br 0.7199 0.7199 0.9672
11 Br 0.7692 0.2812 0.6997
12 Br 0.7827 0.7827 0.5364

=====

Starting from a cell relaxed with GGA-PBE, the powder X-ray diffraction pattern of FeSbPd was simulated for Cu Ka.
No peak broadening, texture or thermal motion is included.

Most intense lines, 10 to 90 degrees two-theta, in order of falling intensity:
| 2θ (°) | I (rel.) |
| --- | --- |
| 42.73 | 100.0 |
| 39.53 | 85.6 |
| 30.03 | 61.9 |
| 59.61 | 24.6 |
| 76.09 | 23.4 |
| 55.58 | 18.6 |
| 78.25 | 16.0 |
| 53.11 | 12.5 |
| 84.79 | 11.8 |
| 43.25 | 11.0 |

Atomic structure:
abc: 7.2201 7.2201 7.2201
angles: 34.09 34.09 34.09
Fractional positions:
1 Fe 0.0000 0.0000 0.0000
2 Fe 0.2907 0.2907 0.2907
3 Sb 0.4133 0.4133 0.4133
4 Sb 0.5931 0.5931 0.5931
5 Pd 0.1327 0.1327 0.1327
6 Pd 0.8680 0.8680 0.8680

~~~~~

Ti2AlRh5: calculated XRD peak list (Cu Ka), based on a GGA-PBE-relaxed structure.
No peak broadening, texture or thermal motion is included.

Principal peaks in the range 15 to 90 degrees two-theta, low angle first:
(hkl)  d_spacing  I (rel.)
1 1 1  3.075  15
2 0 1  2.234  56
0 4 1  2.209  100
2 1 1  2.186  52
2 3 0  2.141  27
0 0 2  2.002  40
2 4 0  1.888  31
2 3 2  1.462  15
2 4 2  1.373  21
4 3 1  1.200  13

Atomic structure:
a = 5.384 Å, b = 10.591 Å, c = 4.004 Å
α = 90.00°, β = 90.00°, γ = 90.00°
Space group Pbam (No. 55)
One atom of each set of equivalent atoms:
Ti1 0.176 0.140 0.000 (multiplicity 4)
Al1 0.000 0.500 0.500 (multiplicity 2)
Rh1 0.000 0.000 0.500 (multiplicity 2)
Rh2 0.077 0.744 0.500 (multiplicity 4)
Rh3 0.189 0.390 0.000 (multiplicity 4)

~~~~~

Structure and simulated powder XRD pattern of Tl2MoCl2O2 (the PBE+U geometry in Alexandria; Cu Kα (λ = 1.5418 Å)).

Structure:
abc: 6.7528 6.7528 8.0635
angles: 120.20 120.20 33.29
Fractional coordinates of all 7 atoms:
Tl  0.1858  0.1858  0.2458
Tl  0.8142  0.8142  0.7542
Mo  0.0000  0.0000  0.5000
Cl  0.4463  0.4463  0.2553
Cl  0.5537  0.5537  0.7447
O  0.1595  0.1595  0.5534
O  0.8405  0.8405  0.4466

Top 10 peaks for 2θ from 10° to 90°, in order of falling intensity:
2theta, Rel. int.
29.65, 100
25.54, 75
27.87, 71
33.85, 66
33.64, 52
42.85, 50
22.19, 49
25.97, 34
24.38, 28
47.50, 26

~~~~~

Record 1
+++

Alt text I'm quite excited about this post, i have been thinking about the perfect topic to launch my blog with, after scribbling lots of topics i decided to write about Elasticsearch. The reason is because i recently implemented it in a side project, and it was quite interesting setting it up, and magical how fast the queries are. Let's go through it together.
If you are not familiar with elastic search don't get intimidated by the name. Elastic search is just a really, really fast RESTful search and analytics engine which can interface with various programming languages.
In this tutorial we are going to use NestJS as our backend to interact with our elastic search engine. NestJS is a progressive Node.js web framework built with TypeScript and uses ExpressJS under the hood.

Setting up elasticsearch cluster

Firstly we would create our elastic search server on Amazon Web Service (AWS). You can run a version locally or host it with a cloud service like DigitalOcean, AWS has a tailored service for hosting an elastic search engine which helps you get up and running in minutes. If you don't have an account on AWS, create one and read the following instructions to spin up your elastic search cluster.

  1. Sign in to your console, under services > analytics, choose Elasticsearch service.
  2. Choose create new domain.
  3. Select a domain name, the latest version of Elasticsearch and click next.
  4. Choose the number of instances you want, for this tutorial two instances are enough.
  5. For Instance type select t2.small.elasticsearch (recommended for this tutorial).
  6. Leave the other fields as the default values and click next.
  7. For the set up access page, choose public access as the network configuration.
  8. For the access policy, choose allow access to the domain from specific IP(s), and type your IP address, you can get your IP address by googling what is my IP.
  9. Click next after inserting your IP.
  10. Review your configuration and confirm, wait for a few minutes for the cluster to be active! If you run into any problems check AWS documentation.

Now lets create our backend that would communicate with our elastic search engine.

Prerequisites & Dependencies

  • Node.js
  • NPM or Yarn

If you have the above tools ready, go ahead and run the following commands to install the NestJS CLI and create a new nest project.

yarn global add @nestjs/cli # would install the nest command globally
nest new elasticsearch-tutorial # creates a new nest project in a new directory 'elasticsearch-tutorial'

Now navigate to the project directory to start the API:

cd elasticsearch-tutorial # navigates to the project directory
yarn start:dev # start the development server

Head to http://localhost:3000, you'll see a hello world page.

We are not going to be writing any tests in the tutorial so we are deleting the tests file in the test directory and in src/app.controller.spec.ts

We'll be needing a few dependencies, so let's go ahead and install them. There are two dependencies added by the command below, elasticsearch and @types/elasticsearch, elasticsearch is the client library that allow us to interface with our Elasticsearch cluster to perform API calls easily without needing to write much code, and the second dependency @types/elasticsearch contains type definitions for the library, it allows us to use the library in a very interactive and exploratory manner (also provides intellisense), which is one of the great benefits of TypeScript.

yarn add elasticsearch @types/elasticsearch # installs client library for elasticsearch and type definations for the library

Connecting to our cluster

After executing the above command successfully, we can now connect to our elasticsearch cluster and perform CRUD operations. Let's write the following code in our app.service.ts file.

import { Injectable, HttpException } from '@nestjs/common';
import * as elasticsearch from 'elasticsearch';

export class AppService {
    private readonly esclient: elasticsearch.Client;

    constructor() {
        this.esclient = new elasticsearch.Client({
            host: '', // replace with your cluster endpoint
        });{ requestTimeout: 3000 })
        .catch(err => { 
            throw new HttpException({
                status: 'error',
                message: 'Unable to reach Elasticsearch cluster'
             }, 500); 

Let's digest the above code snippet. Firstly we imported Injectable and HttpException from @nestjs/common package, Injectable is a decorator that allows us to create providers in nestjs by simply annotating a class with the Injectable decorator. While the HttpException is a class that accepts two parameters, the custom response object and the appropriate HttpStatus. When a HttpException is caught by the built in handler, the custom object is transformed to JSON and sent to the user. The subsequent import is the elasticsearch library which we would need to interface with our elasticsearch cluster.
Next, we have our provider class AppService which is been exported. What we first did was to declare a variable esclient which would be our Elasticsearch client. Within the constructor block we then initialized our Elasticsearch client by passing in the host address. The next block of code pings our cluster to make sure we are in connection and the ping function returns a promise, which is been handled by our catch block. In the case of a failed connection a HttpException is thrown with the message 'Unable to reach Elasticsearch cluster'.

Creating Indices

An elasticsearch cluster consists of documents and indices. Each object stored within a cluster is known as a Document, which is a unit of information that can be indexed. Documents are synonymous to rows in relational database. One might ask how are these documents are organized or what is the equivalent of a relational database table in elasticsearch. Documents are stored within something called indices. An index is a collection of documents with similarly defined properties. The code snippets below creates an index and populates it with an array of documents and also searches the index:

    // ... other codes here

    // loop through array and push the index and type of objects
    // create a 'pokemons' index and insert bulk documents
    async bulkInsert(abilities: any[]) {
        const bulk = [];
        abilities.forEach(ability => {
                index: {_index: 'pokemons', _type: 'abilities'} 
        return await this.esclient.bulk({
            body: bulk, 
            index: 'pokemons', 
            type: 'abilities'
        .then(res => ({status: 'success', data: res}))
        .catch(err => { throw new HttpException(err, 500); });

    // searches the 'pokemons' index for matching documents
    async searchIndex(q: string) {
        const body = {
            size: 200,
            from: 0,
            query: {
                match: {
                    url: q,
        return await{index: 'pokemons', body, q})
            .then(res => res.hits.hits)
            .catch(err => { throw new HttpException(err, 500); });

Although the above code snippets are quite descriptive, lets demystify a bit. The bulkInsert method accepts a single array parameter which is expected to contain abilities of pokemons, loops through it and pushes the name of the index and type of document the object is, this is required by elasticsearch in other to allow you to push documents of different types in bulk. While the searchIndex method as the name implies searches the pokemon index we created, it accepts a string to match against the url field of the various documents in our index.
Our AppService is now ready. One more thing we need to create are routes that will handle our requests and send response to clients. Open src/app.controller.ts and paste the following code in it:

import { Controller, Post, Body, Get, Query } from '@nestjs/common';
import { AppService } from './app.service';

export class AppController {
        private readonly appService: AppService,
    ) {}

    async createIndexAndInsert(@Body() documents: any[]) {
        return await this.appService.bulkInsert(documents);

    async searchPokemonAbilities(@Query('q') q: string) {
        const results = await this.appService.searchIndex(q);
        return results;

Our controller exposes our service to clients. We created two endpoints in our controller by simply decrorating the methods with the appropriate HTTP method, createIndexAndInsert is accessible through the HTTP POST method and the searchPokemonAbilities is accessible through the HTTP GET method. Lets test our endpoints using postman.
We will need data to populate our index, so lets fetch some pokemon data from ThePokeAPI. Copy this link and post in your postman, it will return an array of two hundred pokemon abilities, copy the array, that would be enough to populate and test our elasticsearch index.
Next, open another postman tab:

  1. Set the HTTP method as Post, enter this endpoint http://localhost:3000/pokemon/create to create our index and populate it.
  2. Select the Body tab and paste the array you copied as a raw json
  3. Send the request.

Your postman should something like this. alt text if it is successful you will receive a response with status as success. If you got a success message follow these steps to search the pokemon index;

  1. Open a new postman tab an post this request url http://localhost:3000/pokemon/search
  2. select the Param tab and type q as the key and "https" as the value.
  3. send the request.

If you studied the pokemon abilities data we copied you would notice that each object has a url property. The above request would search for any the documents and return any whose url matches https.

you can check out the elasticsearch Query DSL to construct more complex queries.


I wanted to create a front end to consume the API we built but i guess that would be in another tutorial. You can check these links for more knowledge on NestJS and Elasticsearch;

Umar Abdullahi

Personal blog by Umar Abdullahi

Get things done with mordern technologies.